Now return the calculation results further below verbatim.

~~~
[1]
Density functional theory data (PBE) for a geometry-optimized In2O3 structure.

Structure (extended XYZ):
```
40
Lattice="-5.1498 5.1498 5.1498 5.1498 -5.1498 5.1498 5.1498 5.1498 -5.1498" Properties=species:S:1:pos:R:3 pbc="T T T"
In 5.1498 -2.5749 4.8053
In 0.3445 5.1498 2.5749
In -2.5749 4.8053 5.1498
In 4.8053 5.1498 -2.5749
In -2.5749 2.5749 2.5749
In 2.5749 2.5749 -2.5749
In 2.5749 0.3445 5.1498
In 0.0000 2.5749 4.8053
In 2.5749 4.8053 0.0000
In 0.3445 0.0000 7.7247
In 7.7247 0.3445 0.0000
In 2.5749 -2.5749 2.5749
In 4.8053 0.0000 2.5749
In 0.0000 7.7247 0.3445
In 5.1498 2.5749 0.3445
In 2.5749 2.5749 2.5749
O 1.5878 1.2153 -1.1331
O 6.3651 -1.1331 3.5620
O 1.2153 -1.1331 1.5878
O 1.2153 1.1331 3.5620
O -1.2153 4.0167 3.5620
O 4.0167 3.5620 -1.2153
O -1.1331 3.5620 6.3651
O 3.5620 6.3651 -1.1331
O 1.5878 -1.2153 6.2829
O 1.5878 6.3651 1.1331
O 1.5878 3.9345 4.0167
O 3.9345 6.2829 3.5620
O 1.1331 1.5878 6.3651
O 6.2829 3.5620 3.9345
O 1.1331 3.5620 1.2153
O 3.5620 -1.2153 4.0167
O 4.0167 1.5878 3.9345
O 3.5620 3.9345 6.2829
O 6.3651 1.1331 1.5878
O 6.2829 1.5878 -1.2153
O 3.5620 1.2153 1.1331
O -1.1331 1.5878 1.2153
O -1.2153 6.2829 1.5878
O 3.9345 4.0167 1.5878
```

For the energy of formation from the pure elements, the calculation gives -1997 meV/atom. The volume is 13.7 Å³ per atom. The value obtained for the total energy is -5.65 eV per atom.



[2]
Density functional theory data (PBE) for a geometry-optimized Ti2P3O12 structure.

Structure (extended XYZ):
```
34
Lattice="7.5043 -4.3563 0.0000 7.5043 4.3563 0.0000 4.9753 0.0000 7.1090" Properties=species:S:1:pos:R:3 pbc="T T T"
O 10.6999 -2.7671 6.7001
O 6.6250 -0.8798 0.9467
O 11.2674 3.7447 5.1048
O 8.7798 0.6116 1.5504
O 11.2041 -0.6116 5.5586
O 15.6937 0.7106 7.0965
O 16.2044 -1.5904 5.6608
O 13.7714 -1.5904 5.0026
O 14.2821 0.7106 3.5669
O 8.7164 -3.7447 2.0041
O 16.6169 0.8798 4.5012
O 12.8738 -0.9776 0.5893
O 3.7794 1.5904 1.4481
O 7.1101 0.9776 6.5197
O 3.3669 -0.8798 2.6078
O 9.2839 2.7671 0.4088
O 8.2123 -1.5892 3.1456
O 6.2125 1.5904 2.1063
O 13.3588 0.8798 6.1623
O 12.1266 -0.9776 2.9652
O 4.2902 -0.7106 0.0124
O 11.7716 1.5892 3.9633
O 7.8572 0.9776 4.1437
O 5.7018 -0.7106 3.5421
Ti 7.2683 0.0000 2.5856
Ti 2.7237 0.0000 0.9689
Ti 17.2602 0.0000 6.1401
Ti 12.7156 0.0000 4.5234
P 9.2963 1.2338 0.2362
P 7.4836 1.8886 5.3317
P 11.7840 3.1225 3.7907
P 12.5002 -1.8886 1.7772
P 10.6876 -1.2338 6.8727
P 8.1999 -3.1225 3.3182
```

For the energy of formation from the pure elements, the calculation gives -2910 meV/atom. The volume is 13.7 Å³ per atom. The value obtained for the total energy is -7.80 eV per atom.



[3]
Density functional theory data (PBE) for a geometry-optimized CeAl2Ga2 structure.

Structure (extended XYZ):
```
5
Lattice="-2.2204 3.5981 4.7413 -3.1685 5.4468 -0.8057 0.1390 -6.0182 -2.0295" Properties=species:S:1:pos:R:3 pbc="T T T"
Al -2.8620 1.9756 -0.4337
Al -2.3880 1.0512 2.3398
Ga -3.2942 5.5290 2.4058
Ga -2.0948 3.5159 1.5299
Ce 0.0000 0.0000 0.0000
```

For the energy of formation from the pure elements, the calculation gives -430 meV/atom. The volume is 19.7 Å³ per atom. The value obtained for the total energy is -4.33 eV per atom.



[4]
Density functional theory data (PBE) for a geometry-optimized Ho3Ga2 structure.

Structure (extended XYZ):
```
40
Lattice="-5.7851 5.7851 7.4270 5.7851 -5.7851 7.4270 5.7851 5.7851 -7.4270" Properties=species:S:1:pos:R:3 pbc="T T T"
Ho 3.8344 1.9507 0.0000
Ho 3.4324 5.0054 2.0221
Ho 3.4324 5.0054 -2.0221
Ho 9.2174 0.7797 2.0221
Ho 1.9507 3.8344 7.4270
Ho 0.7797 2.3527 2.0221
Ho 2.3527 -0.7797 2.0221
Ho 1.9507 7.7358 0.0000
Ho 6.5648 3.4324 2.0221
Ho -0.7797 9.2174 2.0221
Ho 3.8344 -1.9507 7.4270
Ho 6.5648 3.4324 -2.0221
Ho -0.7797 2.3527 5.4049
Ho 2.3527 0.7797 5.4049
Ho 3.4324 6.5648 5.4049
Ho -0.7797 2.3527 9.4492
Ho 0.0000 5.7851 5.2402
Ho 6.5648 -3.4324 5.4049
Ho 0.0000 5.7851 2.1869
Ho -3.4324 5.0054 5.4049
Ho 5.7851 0.0000 2.1869
Ho 5.7851 0.0000 5.2402
Ho 5.0054 3.4324 5.4049
~~~

[1]
Density functional theory data (PBE) for a geometry-optimized In2O3 structure.

Structure (extended XYZ):
```
40
Lattice="-5.1498 5.1498 5.1498 5.1498 -5.1498 5.1498 5.1498 5.1498 -5.1498" Properties=species:S:1:pos:R:3 pbc="T T T"
In 5.1498 -2.5749 4.8053
In 0.3445 5.1498 2.5749
In -2.5749 4.8053 5.1498
In 4.8053 5.1498 -2.5749
In -2.5749 2.5749 2.5749
In 2.5749 2.5749 -2.5749
In 2.5749 0.3445 5.1498
In 0.0000 2.5749 4.8053
In 2.5749 4.8053 0.0000
In 0.3445 0.0000 7.7247
In 7.7247 0.3445 0.0000
In 2.5749 -2.5749 2.5749
In 4.8053 0.0000 2.5749
In 0.0000 7.7247 0.3445
In 5.1498 2.5749 0.3445
In 2.5749 2.5749 2.5749
O 1.5878 1.2153 -1.1331
O 6.3651 -1.1331 3.5620
O 1.2153 -1.1331 1.5878
O 1.2153 1.1331 3.5620
O -1.2153 4.0167 3.5620
O 4.0167 3.5620 -1.2153
O -1.1331 3.5620 6.3651
O 3.5620 6.3651 -1.1331
O 1.5878 -1.2153 6.2829
O 1.5878 6.3651 1.1331
O 1.5878 3.9345 4.0167
O 3.9345 6.2829 3.5620
O 1.1331 1.5878 6.3651
O 6.2829 3.5620 3.9345
O 1.1331 3.5620 1.2153
O 3.5620 -1.2153 4.0167
O 4.0167 1.5878 3.9345
O 3.5620 3.9345 6.2829
O 6.3651 1.1331 1.5878
O 6.2829 1.5878 -1.2153
O 3.5620 1.2153 1.1331
O -1.1331 1.5878 1.2153
O -1.2153 6.2829 1.5878
O 3.9345 4.0167 1.5878
```

For the energy of formation from the pure elements, the calculation gives -1997 meV/atom. The volume is 13.7 Å³ per atom. The value obtained for the total energy is -5.65 eV per atom.



[2]
Density functional theory data (PBE) for a geometry-optimized Ti2P3O12 structure.

Structure (extended XYZ):
```
34
Lattice="7.5043 -4.3563 0.0000 7.5043 4.3563 0.0000 4.9753 0.0000 7.1090" Properties=species:S:1:pos:R:3 pbc="T T T"
O 10.6999 -2.7671 6.7001
O 6.6250 -0.8798 0.9467
O 11.2674 3.7447 5.1048
O 8.7798 0.6116 1.5504
O 11.2041 -0.6116 5.5586
O 15.6937 0.7106 7.0965
O 16.2044 -1.5904 5.6608
O 13.7714 -1.5904 5.0026
O 14.2821 0.7106 3.5669
O 8.7164 -3.7447 2.0041
O 16.6169 0.8798 4.5012
O 12.8738 -0.9776 0.5893
O 3.7794 1.5904 1.4481
O 7.1101 0.9776 6.5197
O 3.3669 -0.8798 2.6078
O 9.2839 2.7671 0.4088
O 8.2123 -1.5892 3.1456
O 6.2125 1.5904 2.1063
O 13.3588 0.8798 6.1623
O 12.1266 -0.9776 2.9652
O 4.2902 -0.7106 0.0124
O 11.7716 1.5892 3.9633
O 7.8572 0.9776 4.1437
O 5.7018 -0.7106 3.5421
Ti 7.2683 0.0000 2.5856
Ti 2.7237 0.0000 0.9689
Ti 17.2602 0.0000 6.1401
Ti 12.7156 0.0000 4.5234
P 9.2963 1.2338 0.2362
P 7.4836 1.8886 5.3317
P 11.7840 3.1225 3.7907
P 12.5002 -1.8886 1.7772
P 10.6876 -1.2338 6.8727
P 8.1999 -3.1225 3.3182
```

For the energy of formation from the pure elements, the calculation gives -2910 meV/atom. The volume is 13.7 Å³ per atom. The value obtained for the total energy is -7.80 eV per atom.



[3]
Density functional theory data (PBE) for a geometry-optimized CeAl2Ga2 structure.

Structure (extended XYZ):
```
5
Lattice="-2.2204 3.5981 4.7413 -3.1685 5.4468 -0.8057 0.1390 -6.0182 -2.0295" Properties=species:S:1:pos:R:3 pbc="T T T"
Al -2.8620 1.9756 -0.4337
Al -2.3880 1.0512 2.3398
Ga -3.2942 5.5290 2.4058
Ga -2.0948 3.5159 1.5299
Ce 0.0000 0.0000 0.0000
```

For the energy of formation from the pure elements, the calculation gives -430 meV/atom. The volume is 19.7 Å³ per atom. The value obtained for the total energy is -4.33 eV per atom.



[4]
Density functional theory data (PBE) for a geometry-optimized Ho3Ga2 structure.

Structure (extended XYZ):
```
40
Lattice="-5.7851 5.7851 7.4270 5.7851 -5.7851 7.4270 5.7851 5.7851 -7.4270" Properties=species:S:1:pos:R:3 pbc="T T T"
Ho 3.8344 1.9507 0.0000
Ho 3.4324 5.0054 2.0221
Ho 3.4324 5.0054 -2.0221
Ho 9.2174 0.7797 2.0221
Ho 1.9507 3.8344 7.4270
Ho 0.7797 2.3527 2.0221
Ho 2.3527 -0.7797 2.0221
Ho 1.9507 7.7358 0.0000
Ho 6.5648 3.4324 2.0221
Ho -0.7797 9.2174 2.0221
Ho 3.8344 -1.9507 7.4270
Ho 6.5648 3.4324 -2.0221
Ho -0.7797 2.3527 5.4049
Ho 2.3527 0.7797 5.4049
Ho 3.4324 6.5648 5.4049
Ho -0.7797 2.3527 9.4492
Ho 0.0000 5.7851 5.2402
Ho 6.5648 -3.4324 5.4049
Ho 0.0000 5.7851 2.1869
Ho -3.4324 5.0054 5.4049
Ho 5.7851 0.0000 2.1869
Ho 5.7851 0.0000 5.2402
Ho 5.0054 3.4324 5.4049